– The most surprising thing about this poll is that 32% of Seattle voters think McGinn did a good job handling the police department. Who?
– Erica C. Barnett has a not good for McGinn take on the poll.
– Vermont is the 4th state with a Death with Dignity law.
Inserted here: materials data =
Entry 1:
Below is crystalline NaLiTbIn at its relaxed geometry, with properties calculated at the GGA-PBE level.

a b c (Å): 7.3343 7.3343 7.3343
angles (deg): 90.00 90.00 90.00
With the nearest neighbours (Å) after each atom.
Space group F-43m (No. 216)
Unique sites:
Na 0.0000 0.0000 0.0000 [4 per cell]  4 Tb 3.18, 4 Li 3.18
Li 0.2500 0.2500 0.7500 [4 per cell]  4 In 3.18, 4 Na 3.18
Tb 0.2500 0.2500 0.2500 [4 per cell]  4 In 3.18, 4 Na 3.18
In 0.0000 0.0000 0.5000 [4 per cell]  4 Tb 3.18, 4 Li 3.18

Summary:
Its total magnetization is 0.00 μB per cell. As for the formation energy: -0.12 eV per atom. The value obtained for the volume is 24.7 Å³ per atom. Its electronic total energy is -44.3 eV per cell.

=====

Entry 2:
Below is crystalline NaLiTlIn at its relaxed geometry, with properties calculated at the GGA-PBE level.

a b c (Å): 3.4715 3.4715 7.9209
angles (deg): 90.00 90.00 90.00
With the nearest neighbours (Å) after each atom.
Space group P4mm (No. 99)
Unique sites:
Na 0.0000 0.0000 0.0000 [1 per cell]  4 In 3.33, 4 Tl 3.35, 4 Na 3.47
Li 0.0000 0.0000 0.4942 [1 per cell]  4 In 2.97, 4 Tl 3.00
Tl 0.5000 0.5000 0.7128 [1 per cell]  4 Li 3.00, 4 Na 3.35
In 0.5000 0.5000 0.2841 [1 per cell]  4 Li 2.97

Summary:
Its total magnetization is 0.00 μB per cell. As for the formation energy: -0.17 eV per atom. The value obtained for the volume is 23.9 Å³ per atom. Its electronic total energy is -9.0 eV per cell. The energy relative to the lowest polymorph listed for this composition is 0 meV/atom.

=====

Entry 3:
Below is crystalline Na2LiTl2In at its relaxed geometry, with properties calculated at the GGA-PBE level.

a b c (Å): 6.2410 16.8653 6.2045
angles (deg): 90.00 90.00 90.00
With the nearest neighbours (Å) after each atom.
Space group Ibam (No. 72)
Unique sites:
Na 0.1961 0.1779 0.0000 [8 per cell]  5 Tl 3.22-3.28, 2 In 3.59
Li 0.0000 0.5000 0.2500 [4 per cell]  4 Tl 2.93, 2 Li 3.10, 2 In 3.12
Tl 0.1944 0.3716 0.0000 [8 per cell]  2 Li 2.93, 3 Na 3.22-3.27, 2 In 3.28
In 0.0000 0.0000 0.2500 [4 per cell]  2 In 3.10, 2 Li 3.12, 4 Tl 3.28

Summary:
Its total magnetization is 0.00 μB per cell. As for the formation energy: -0.10 eV per atom. The value obtained for the volume is 27.2 Å³ per atom. Its electronic total energy is -50.4 eV per cell.

=====

Entry 4:
Below is crystalline Na2LiTl5In at its relaxed geometry, with properties calculated at the GGA-PBE level.

a b c (Å): 5.2833 18.1123 10.3517
angles (deg): 90.00 90.00 90.00
With the nearest neighbours (Å) after each atom.
Space group Cmc2_1 (No. 36)
Unique sites:
Na 0.0000 0.1104 0.0000 [4 per cell]  9 Tl 3.22-3.44, 1 In 3.42
Na 0.0000 0.1114 0.5755 [4 per cell]  9 Tl 3.23-3.44, 1 In 3.42
Li 0.0000 0.4156 0.7879 [4 per cell]  6 Tl 2.89-3.01
Tl 0.0000 0.0192 0.2877 [4 per cell]  2 Li 2.89, 2 Na 3.22-3.23
Tl 0.0000 0.2970 0.9773 [4 per cell]  1 Li 2.91
Tl 0.0000 0.2980 0.5961 [4 per cell]  1 Li 2.91
Tl 0.0000 0.3860 0.2877 [4 per cell]  1 In 3.30, 6 Tl 3.31-3.59, 4 Na 3.44, 1 Li 3.59
– It feels like we’re overpaying our college sportsball coaches.
– Virginia is for haters.
Oklahoma tornado tragedy: On the news today, the Republican Congressman from Moore, Oklahoma (the suburb hit hardest by the tornado) had nothing but nice things to say about President Obama, who made a telephone call to him last night. Unfortunately, I didn’t catch his name.
== Calculated crystals from another source follow ==
(1)
Here is AlAsSe2Cl at its PBEsol-relaxed geometry from Alexandria. Energies are from SCAN.

Unit cell a=4.7113 b=4.7113 c=5.0526 alpha=90.00 beta=90.00 gamma=90.00
Space group P4/mmm (No. 123)
Unique sites:
1 Al 0.0000 0.0000 0.0000 x1
2 As 0.0000 0.0000 0.5000 x1
3 Se 0.0000 0.5000 0.0000 x2
4 Cl 0.5000 0.5000 0.5000 x1

Calculated values
As for the total energy: -14.962 eV per atom. The value obtained for the total magnetization is 0.00 μB per atom. The calculation puts the density of states at the Fermi level at 3.80 states/eV/f.u. The calculation puts the formation energy from raw total energies at 0.2538 eV per atom. The calculated volume is 22.43 Å³ per atom.

---

(2)
Here is AlCoAs2 at its PBEsol-relaxed geometry from Alexandria. Energies are from SCAN.

Unit cell a=3.3624 b=4.3594 c=8.2037 alpha=90.00 beta=90.00 gamma=90.00
Space group Imm2 (No. 44)
Unique sites:
1 Al 0.0000 0.0000 0.0000 x2
2 Co 0.0000 0.5000 0.2487 x2
3 As 0.0000 0.0000 0.5465 x2
4 As 0.0000 0.5000 0.7638 x2

Calculated values
As for the total energy: -16.097 eV per atom. The calculation puts the formation energy at 0.262 eV per atom. The value obtained for the total magnetization is 0.00 μB per atom. The calculation puts the density of states at the Fermi level at 2.50 states/eV/f.u. The calculated volume is 15.03 Å³ per atom.

---

(3)
Here is Al2Co2As at its PBEsol-relaxed geometry from Alexandria. Energies are from SCAN.

Unit cell a=6.7763 b=6.7763 c=2.7954 alpha=90.00 beta=90.00 gamma=90.00
Space group P4/mbm (No. 127)
Unique sites:
1 Al 0.1426 0.3574 0.0000 x4
2 Co 0.1531 0.6531 0.5000 x4
3 As 0.0000 0.0000 0.5000 x2

Calculated values
As for the total energy: -14.231 eV per atom. The calculation puts the formation energy at -0.171 eV per atom. The value obtained for the total magnetization is 0.00 μB per atom. The calculation puts the density of states at the Fermi level at 2.88 states/eV/f.u. The calculated volume is 12.84 Å³ per atom.

---

(4)
Here is Al2CoAs at its PBEsol-relaxed geometry from Alexandria. Energies are from SCAN.

Unit cell a=2.7704 b=2.7704 c=7.4937 alpha=90.00 beta=90.00 gamma=90.00
Space group P4/mmm (No. 123)
Unique sites:
1 Al 0.0000 0.0000 0.1960 x2
2 Co 0.5000 0.5000 0.0000 x1
3 As 0.5000 0.5000 0.5000 x1

Calculated values
As for the total energy: -13.456 eV per atom. The calculation puts the formation energy at -0.206 eV per atom. The value obtained for the total magnetization is 0.00 μB per atom. The calculation puts the density of states at the Fermi level at 1.42 states/eV/f.u. The calculated volume is 14.38 Å³ per atom.

---

(5)
Here is Al2CoAs at its PBEsol-relaxed geometry from Alexandria. Energies are from SCAN.

Unit cell a=8.4923 b=2.7566 c=5.8036 alpha=90.00 beta=113.01 gamma=90.00
Space group Cm (No. 8)
Unique sites:
1 Al 0.0000 0.0000 0.0000 x2
2 Al 0.1747 0.0000 0.6557 x2
3 Co 0.2317 0.5000 0.0229 x2
4 As 0.3539 0.0000 0.3794 x2

Calculated values
Other representatives in Oklahoma are split on disaster relief, with some of them saying it shouldn’t be passed unless matching cuts are made elsewhere in the budget.
I’ll give them high marks for consistency (they voted this same way for Sandy relief), but at what price? Maybe they should go to Moore and explain the intracacies of Washington politics and the budget to their neighbors there. Think they will understand?
First Thoughts – putting things into perspective
Following Friday’s wreck, it appears the Metro-North New Haven line will return to service. They were allowed to remove the damaged trains Sunday, and have one track rebuilt with service North of South Norwalk, Connecticut resuming with Wednesday’s afternoon rush. This is a very busy route, and very old infrastructure.
1)I would expect a Congressmember to be their for the constituents. In a time like this, partisan politics should be put aside, but that is not always the case.
2) Oops, I misread the article, full service restored tomorrow, limited service for the Afternoon rush in and out of Grand Central Terminal on the New Haven line, Boston-NYC Amtrak service to Penn Station resumes in the afternoon. The crews must have worked even faater, which if one believes the stereotypes, our trolls would think was impossible.
Re: The fourth citation above (Apple and its taxes)…the same should by all rights apply to Crossroads GPS.
“We need prayers.” -Oklahoma Governor Mary Franklin
No you dumb ass. You need Money to pay for construction, heavy equipment, emergency food and water and the Corp of Engineers. None of that will come to you as a result of the entire country sitting in pews praying.
6)Her last name is Fallin. Besides what she said, she also said she had been in contact with the President. I remember in 2010, she was one candidate who did not want to directly debate her opponent.
•He has said gays and lesbians are “very sick people, psychologically and emotionally” whose minds are perverted. He has also said homosexuality “poisons culture, it destroys families, it destroys societies”
== Someone pasted materials data at this point ==
The following is a DFT calculation (PBEsol) of crystalline FeSbSe2 at its relaxed geometry.

Calculated values
formation energy (no corrections): 0.36 eV per atom

Cell lengths 4.804, 4.804, 3.378 Å; angles 90.00, 90.00, 90.00 degrees
Fractional positions:
1 Fe 0.000 0.000 0.000
2 Sb 0.500 0.500 0.000
3 Se 0.000 0.500 0.500
4 Se 0.500 0.000 0.500

~~~~~

A geometry-optimized Ni2MoWF structure, computed with GGA+U.

Values from the calculation:
The total magnetization comes out at 7.29 Bohr magnetons per cell. Its space-group type is No. 123. For the density of states at the Fermi level, the calculation gives 1.38 states/eV/f.u. The value obtained for the electronic total energy is -3.1127 eV/atom.

Lattice parameters (Å, degrees): 4.9196 4.9196 4.0077 90.00 90.00 90.00
Element x y z (fractional)
Ni: 0.0000 0.5000 0.0000
Ni: 0.5000 0.0000 0.0000
Mo: 0.0000 0.0000 0.5000
W: 0.5000 0.5000 0.0000
F: 0.5000 0.5000 0.5000

~~~~~

Computed, not measured: a relaxed structure of TbSc2Fe at the PBE level of DFT.

## Properties
excess energy over the best structure of this formula in the dataset	0.000	eV/atom
total magnetization	0.00	μB/f.u.
N(E_F)	1.192	states/eV/atom
formation enthalpy at 0 K	-50.0	meV/atom

extended XYZ file:
```
16
Lattice="-4.534 -3.851 -0.584 4.368 -4.844 -1.961 0.998 -2.417 8.192" Properties=species:S:1:pos:R:3 pbc="T T T"
Tb -0.209 -5.649 0.615
Tb -3.523 -4.187 1.450
Tb 1.040 -5.464 5.031
Tb 4.354 -6.925 4.196
Sc 2.261 -4.047 -0.869
Sc -0.341 -3.178 3.017
Sc -1.796 -6.179 3.509
Sc 1.538 -8.822 5.636
Sc -1.430 -7.066 6.515
Sc 1.172 -7.935 2.629
Sc 2.627 -4.934 2.137
Sc -0.707 -2.291 0.010
Fe 1.696 -2.707 1.251
Fe 2.121 -6.623 0.044
Fe -0.866 -8.406 4.395
Fe -1.290 -4.489 5.602
```

Computed, not measured: a relaxed structure of CdFe2Cl at the PBE level of DFT.

## Properties
excess energy over the best structure of this formula in the dataset	0.503	eV/atom
total magnetization	5.98	μB/f.u.
formation energy (no corrections)	0.584	eV per atom
N(E_F)	1.272	states/eV/atom

extended XYZ file:
```
8
Lattice="6.882 0.000 0.000 0.000 6.882 0.000 3.441 3.441 2.921" Properties=species:S:1:pos:R:3 pbc="T T T"
Cl 3.441 3.441 0.000
Cl 3.441 6.882 1.460
Fe 4.839 1.720 0.730
Fe 2.042 5.161 0.730
Fe 5.161 5.483 2.190
Fe 8.602 8.280 2.190
Cd 0.000 0.000 0.000
Cd 6.882 3.441 1.460
```

Computed, not measured: a relaxed structure of La7Pr12Er at the PBE level of DFT.

## Properties
total magnetization	0.00	μB/f.u.
N(E_F)	1.513	states/eV/atom
formation enthalpy at 0 K	75.5	meV/atom

extended XYZ file:
```
20
Lattice="-4.784 -7.012 -3.348 4.795 -4.357 6.426 -6.406 3.855 5.231" Properties=species:S:1:pos:R:3 pbc="T T T"
La 2.160 -3.155 4.403
La -3.097 -2.848 9.473
La -2.174 -9.038 4.585
La -3.197 -3.757 4.154
La -4.221 1.524 3.724
La -3.298 -4.666 -1.164
La -8.555 -4.359 3.906
Pr -5.671 -4.444 1.628
Pr -2.777 -6.566 1.940
Pr -3.513 -1.490 1.227
Pr -5.410 -6.721 4.505
Pr -6.093 -1.637 3.845
Pr -5.835 -3.855 6.769
Pr -0.560 -3.658 1.540
So I guess he believes heterosexuals are saints. Do I have to debunk him. Would Darryl allow it?
6: Your basic point stands, but the Red Cross has taken flack in recent years for being more into fundraising during these disasters then providing direct assistance.
Tornado warnings and sequester idiocy:
Heh. Morons like our favorite right wing jerk said the sequester was Obama’s idea.. So what did Republicans do to stop it?
Apple CEO Tim Cook told Congress today his company pays “every dollar of tax owed.” Is he that stupid? The issue is not what Apple owes, or whether it pays what it owes, but whether it should owe more because it owes and pays little.
Many big corporations owe no taxes. Does the fact it’s legal make it right? Do we let the status quo define what our tax policies should be? That’s nonsense.
When you get right down to it, Cook makes a circular argument: We don’t owe anything, therefore we shouldn’t owe anything. That doesn’t explain why it should be this way. He sounds like a toddler clutching a toy and screaming “it’s mine!” when his parent asks him to share.
Tim Cook should have stood up and pointed at each Member on the panel and said….”We have taken advantage of the rules that YOU put in place. The rules which benefit YOUR special interest, and YOUR special interest, and YOURS, and YOURS, and YOURS.” pointing at each one in turn. “When you pull your heads out of your asses and your hands out of the lobbyists bag we will be glad to participate in a discussion of tax policy”.
I heard a search and rescue team from Joplin went to Oklahoma to help, they said they were just returning the favor.
Am I supposed to be surprised that Sarkisian is the highest-paid state employee in Washington? It’s been that way for a long time.
I recall that, at some time in the distant past, Don James was the only state employee earning six figures.
From 12,
Time for a flat-rate tax maybe??
Although I too young to to remember Alabama coach Paul Bryant, but I saw a great documentary on him once. It was said, as for his salary from the State of Alabama, he only wanted the same salary as a department head, but had the ability to negotiate the team’s tv deal.
I loved this sound bite:
That’s the problem. I don’t think they care that taxes are needed for the common good.
Sen. Ran Paul, the Kentucky Republican and libertarian, Tuesday defended Apple’s tax machinations, saying he was “offended” that Apple CEO Tim Cook was being “dragged” before the Senate’s Permanent Subcommittee on Investigations to explain how the company could attribute nearly two thirds of its income to Irish entities that have no employees, no physical residence, and are not taxed by any government anywhere, but are totally controlled by Apple.
Already, some are saying the government did it.
The Apple hearings are political theatre to put the absolute lie to the claim that America has the highest corporate tax rates. In fact the U.S. has the lowest corporate tax payments in the fully industrialized world.
Every American who has ever filed a 1040 knows the difference between taxable income and adjusted income. Corporations have become very very good at LEGALLY making their adjusted income so low as to remain virtually untaxed.
It’s all legal but it’s the kind of thing the stupid don’t seem to grasp. They hear the usual media frauds talk about corporate tax rates and they lap it up and never question why so many corporations that employ tens of thousands of people and profit in the hundreds of millions pay very very small tax bills in real dollars or as a percentage of income.
Microsoft is among them.
If this hearing makes a single fiscally conservative/socially liberal Republican voter say…wait, what?…it’s been effective.
One interesting observation that I noticed about the ruling party in British Columbia,the BC Liberals, is it is not the only case where once you get outside of the US, the term “Liberal” has a different meaning than what the American conservative definition of it is. In Australia, the main center-right party is the Liberal Party of Australia, and in Germany, the Free Democratic Party is often refered to in the German media as”the Liberals”, and currently are the junior partner to the Christian Democrats in the governing coalition.
The FDP is pro business but socially Liberal. Up until 1998 this party was the kingmaker, no matter if the Christian Democrats or the Social Democrats won the most votes. That was when the Green Party made enough inroads to be an acceptable coalition partner. The Social Democrats may be socialists, but they have been reasonable over the years. In 2003 they enacted welfare reforms that cost them votes to Die Lienke, the former East German communists. Which put the Christian Democrats in the Chancellory in 2005.
In September, it could be fertile ground for the Social Democrats at the Federal Election, there is fragmentation on the right. Some Christian Democrats, opposed to the Euro bailout formed a new party, the Free Democrats have been swept out of several state elections, and the Greens won enough votes in a conservative state, to be the lead party in the government. For a party to win representation, they must win 5% of the vote, or three district seats.